Given.
/*
No. 1
The following is a calculated X-ray powder pattern of Sr3MnF12. It was derived from a cell relaxed with GGA+U, using λ = 1.5418 Å (Cu Kα).

The 10 most intense peaks (2θ from 10° to 90°), by angle:
| (hkl) | Position (°2θ) | d_spacing | intensity |
| --- | --- | --- | --- |
| 1 1 -1 | 20.74 | 4.283 | 49 |
| 0 4 0 | 22.61 | 3.932 | 72 |
| 0 0 1 | 23.21 | 3.832 | 37 |
| 2 2 -1 | 25.88 | 3.443 | 37 |
| 2 2 0 | 26.27 | 3.392 | 100 |
| 2 6 0 | 42.02 | 2.150 | 32 |
| 2 2 -2 | 42.20 | 2.141 | 57 |
| 4 2 -1 | 43.00 | 2.103 | 43 |
| 4 4 -1 | 47.64 | 1.909 | 30 |
| 4 4 -2 | 53.21 | 1.722 | 36 |

Atomic structure:
Cell lengths 8.7306, 15.7289, 4.4509 Å; angles 90.00, 120.54, 90.00 degrees
Space group C2/m (No. 12)
Unique sites:
Sr  0.0000  0.0000  0.0000 x2
Sr  0.2500  0.2500  0.5000 x4
Mn  0.0000  0.5000  0.5000 x2
F  0.0866  0.2568  0.8616 x8
F  0.1176  0.0946  0.5241 x8
F  0.1765  0.4194  0.7019 x8

=====

No. 2
The following is a calculated X-ray powder pattern of SrMnZn2F8. It was derived from a cell relaxed with GGA+U, using λ = 1.5418 Å (Cu Kα).

The 10 most intense peaks (2θ from 10° to 90°), by angle:
| (hkl) | Position (°2θ) | d_spacing | intensity |
| --- | --- | --- | --- |
| 1 1 2 | 28.32 | 3.151 | 100 |
| 0 0 4 | 31.59 | 2.832 | 9 |
| 2 0 0 | 33.42 | 2.681 | 10 |
| 2 0 4 | 46.65 | 1.947 | 37 |
| 2 2 0 | 47.99 | 1.896 | 19 |
| 1 1 6 | 54.27 | 1.690 | 16 |
| 1 3 2 | 56.66 | 1.624 | 29 |
| 2 2 4 | 58.59 | 1.575 | 9 |
| 3 1 6 | 75.33 | 1.262 | 11 |
| 2 4 4 | 88.57 | 1.104 | 8 |

Atomic structure:
Cell lengths 5.3621, 5.3621, 11.3287 Å; angles 90.00, 90.00, 90.00 degrees
Space group I-4 (No. 82)
Unique sites:
Sr  0.0000  0.0000  0.0000 x2
Mn  0.0000  0.5000  0.2500 x2
Zn  0.0000  0.0000  0.5000 x2
Zn  0.0000  0.5000  0.7500 x2
F  0.1604  0.2644  0.4085 x8
F  0.1906  0.7643  0.8287 x8

=====

No. 3
The following is a calculated X-ray powder pattern of TiMnF5. It was derived from a cell relaxed with GGA+U, using λ = 1.5418 Å (Cu Kα).

The 10 most intense peaks (2θ from 10° to 90°), by angle:
| (hkl) | Position (°2θ) | d_spacing | intensity |
| --- | --- | --- | --- |
| 2 0 0 | 22.22 | 4.001 | 97 |
| 1 1 -2 | 27.22 | 3.276 | 100 |
| 0 2 0 | 27.39 | 3.257 | 43 |
| 4 0 0 | 45.33 | 2.001 | 32 |
| 2 0 -4 | 48.00 | 1.895 | 24 |
| 1 3 -2 | 48.31 | 1.884 | 37 |
| 5 1 -2 | 53.68 | 1.707 | 25 |
| 4 2 0 | 53.78 | 1.705 | 30 |
| 2 2 -4 | 56.14 | 1.638 | 18 |
| 3 3 2 | 68.40 | 1.372 | 21 |

Atomic structure:
Cell lengths 8.8512, 6.5136, 7.5806 Å; angles 90.00, 115.30, 90.00 degrees
Space group C2/c (No. 15)
Unique sites:
Ti  0.0000  0.0000  0.0000 x4
Mn  0.0000  0.4670  0.2500 x4
F  0.0000  0.1161  0.2500 x4
F  0.0161  0.3050  0.9621 x8
F  0.2374  0.0277  0.6266 x8

=====

No. 4
The following is a calculated X-ray powder pattern of TiMnTlF6. It was derived from a cell relaxed with GGA+U, using λ = 1.5418 Å (Cu Kα).

The 10 most intense peaks (2θ from 10° to 90°), by angle:
| (hkl) | Position (°2θ) | d_spacing | intensity |
| --- | --- | --- | --- |
| 1 0 0 | 18.12 | 4.895 | 21 |
| 1 0 2 | 23.59 | 3.771 | 100 |
| 1 1 0 | 31.66 | 2.826 | 22 |
| 2 -1 2 | 35.19 | 2.550 | 11 |
| 1 0 4 | 35.47 | 2.531 | 13 |
| 2 0 2 | 39.86 | 2.262 | 21 |
| 1 1 4 | 44.34 | 2.043 | 33 |
| 1 0 6 | 49.88 | 1.828 | 11 |
| 2 1 2 | 51.77 | 1.766 | 23 |
| 4 -1 2 | 71.26 | 1.323 | 10 |

Atomic structure:
Cell lengths 5.6527, 5.6527, 11.8248 Å; angles 90.00, 90.00, 120.00 degrees
Space group P-31c (No. 163)
Unique sites:
Ti  0.3333  0.6667  0.2500 x2
Mn  0.3333  0.6667  0.7500 x2
Tl  0.0000  0.0000  0.0000 x2
F  0.0192  0.3913  0.1575 x12

----------

# Y2Si2O7
Theoretical powder XRD pattern, Cu Kα, 1.54184 Å. Input: a cell relaxed with GGA-PBE.

Largest 12 diffraction maxima, most intense first, 2θ = 10–90°:
Position (°2θ)	d/Å	Rel. int.	(hkl)
28.85	3.094	100	1 2 -1
18.64	4.760	36	1 0 -1
25.35	3.514	30	0 0 2
25.53	3.490	30	1 0 1
51.95	1.760	29	1 4 1
33.69	2.660	23	0 2 2
43.24	2.092	23	1 2 -3
36.86	2.438	22	1 0 -3
43.58	2.077	22	2 2 0
37.24	2.415	22	2 0 0
*/

Brief.
Now return the listing above from the first line to the one with "Largest 12" unchanged.

Done.
No. 1
The following is a calculated X-ray powder pattern of Sr3MnF12. It was derived from a cell relaxed with GGA+U, using λ = 1.5418 Å (Cu Kα).

The 10 most intense peaks (2θ from 10° to 90°), by angle:
| (hkl) | Position (°2θ) | d_spacing | intensity |
| --- | --- | --- | --- |
| 1 1 -1 | 20.74 | 4.283 | 49 |
| 0 4 0 | 22.61 | 3.932 | 72 |
| 0 0 1 | 23.21 | 3.832 | 37 |
| 2 2 -1 | 25.88 | 3.443 | 37 |
| 2 2 0 | 26.27 | 3.392 | 100 |
| 2 6 0 | 42.02 | 2.150 | 32 |
| 2 2 -2 | 42.20 | 2.141 | 57 |
| 4 2 -1 | 43.00 | 2.103 | 43 |
| 4 4 -1 | 47.64 | 1.909 | 30 |
| 4 4 -2 | 53.21 | 1.722 | 36 |

Atomic structure:
Cell lengths 8.7306, 15.7289, 4.4509 Å; angles 90.00, 120.54, 90.00 degrees
Space group C2/m (No. 12)
Unique sites:
Sr  0.0000  0.0000  0.0000 x2
Sr  0.2500  0.2500  0.5000 x4
Mn  0.0000  0.5000  0.5000 x2
F  0.0866  0.2568  0.8616 x8
F  0.1176  0.0946  0.5241 x8
F  0.1765  0.4194  0.7019 x8

=====

No. 2
The following is a calculated X-ray powder pattern of SrMnZn2F8. It was derived from a cell relaxed with GGA+U, using λ = 1.5418 Å (Cu Kα).

The 10 most intense peaks (2θ from 10° to 90°), by angle:
| (hkl) | Position (°2θ) | d_spacing | intensity |
| --- | --- | --- | --- |
| 1 1 2 | 28.32 | 3.151 | 100 |
| 0 0 4 | 31.59 | 2.832 | 9 |
| 2 0 0 | 33.42 | 2.681 | 10 |
| 2 0 4 | 46.65 | 1.947 | 37 |
| 2 2 0 | 47.99 | 1.896 | 19 |
| 1 1 6 | 54.27 | 1.690 | 16 |
| 1 3 2 | 56.66 | 1.624 | 29 |
| 2 2 4 | 58.59 | 1.575 | 9 |
| 3 1 6 | 75.33 | 1.262 | 11 |
| 2 4 4 | 88.57 | 1.104 | 8 |

Atomic structure:
Cell lengths 5.3621, 5.3621, 11.3287 Å; angles 90.00, 90.00, 90.00 degrees
Space group I-4 (No. 82)
Unique sites:
Sr  0.0000  0.0000  0.0000 x2
Mn  0.0000  0.5000  0.2500 x2
Zn  0.0000  0.0000  0.5000 x2
Zn  0.0000  0.5000  0.7500 x2
F  0.1604  0.2644  0.4085 x8
F  0.1906  0.7643  0.8287 x8

=====

No. 3
The following is a calculated X-ray powder pattern of TiMnF5. It was derived from a cell relaxed with GGA+U, using λ = 1.5418 Å (Cu Kα).

The 10 most intense peaks (2θ from 10° to 90°), by angle:
| (hkl) | Position (°2θ) | d_spacing | intensity |
| --- | --- | --- | --- |
| 2 0 0 | 22.22 | 4.001 | 97 |
| 1 1 -2 | 27.22 | 3.276 | 100 |
| 0 2 0 | 27.39 | 3.257 | 43 |
| 4 0 0 | 45.33 | 2.001 | 32 |
| 2 0 -4 | 48.00 | 1.895 | 24 |
| 1 3 -2 | 48.31 | 1.884 | 37 |
| 5 1 -2 | 53.68 | 1.707 | 25 |
| 4 2 0 | 53.78 | 1.705 | 30 |
| 2 2 -4 | 56.14 | 1.638 | 18 |
| 3 3 2 | 68.40 | 1.372 | 21 |

Atomic structure:
Cell lengths 8.8512, 6.5136, 7.5806 Å; angles 90.00, 115.30, 90.00 degrees
Space group C2/c (No. 15)
Unique sites:
Ti  0.0000  0.0000  0.0000 x4
Mn  0.0000  0.4670  0.2500 x4
F  0.0000  0.1161  0.2500 x4
F  0.0161  0.3050  0.9621 x8
F  0.2374  0.0277  0.6266 x8

=====

No. 4
The following is a calculated X-ray powder pattern of TiMnTlF6. It was derived from a cell relaxed with GGA+U, using λ = 1.5418 Å (Cu Kα).

The 10 most intense peaks (2θ from 10° to 90°), by angle:
| (hkl) | Position (°2θ) | d_spacing | intensity |
| --- | --- | --- | --- |
| 1 0 0 | 18.12 | 4.895 | 21 |
| 1 0 2 | 23.59 | 3.771 | 100 |
| 1 1 0 | 31.66 | 2.826 | 22 |
| 2 -1 2 | 35.19 | 2.550 | 11 |
| 1 0 4 | 35.47 | 2.531 | 13 |
| 2 0 2 | 39.86 | 2.262 | 21 |
| 1 1 4 | 44.34 | 2.043 | 33 |
| 1 0 6 | 49.88 | 1.828 | 11 |
| 2 1 2 | 51.77 | 1.766 | 23 |
| 4 -1 2 | 71.26 | 1.323 | 10 |

Atomic structure:
Cell lengths 5.6527, 5.6527, 11.8248 Å; angles 90.00, 90.00, 120.00 degrees
Space group P-31c (No. 163)
Unique sites:
Ti  0.3333  0.6667  0.2500 x2
Mn  0.3333  0.6667  0.7500 x2
Tl  0.0000  0.0000  0.0000 x2
F  0.0192  0.3913  0.1575 x12

----------

# Y2Si2O7
Theoretical powder XRD pattern, Cu Kα, 1.54184 Å. Input: a cell relaxed with GGA-PBE.

Largest 12 diffraction maxima, most intense first, 2θ = 10–90°: